Job:
It remains to work out how many lines further below have the word "separate" in them; a number is enough.

Contents:
~~~
A cluster of 10 separate species, C53H112F11N10O7PS3 in total at a distorted geometry, computed with ωB97M-V with the def2-TZVPD basis set.

Results
gap between HOMO and LUMO = 6.184 eV
E_HOMO = -12.46 eV
net charge = +4

CARTESIAN COORDINATES (ANGSTROEM)
C: -1.013 -1.673 -1.117
F: -0.140 -2.641 -0.879
F: -1.091 -0.870 -0.012
F: -0.670 -0.857 -2.121
S: -2.815 -2.330 -1.500
O: -2.769 -2.889 -2.878
O: -3.033 -3.330 -0.456
O: -3.686 -1.111 -1.424
C: -1.154 -8.044 -4.033
C: -0.017 -7.861 -3.075
N: 0.007 -8.827 -2.023
C: 1.080 -9.311 -1.309
C: 0.599 -10.121 -0.257
N: -0.808 -10.100 -0.254
C: -1.170 -9.324 -1.387
C: -1.699 -10.740 0.683
H: -2.135 -7.689 -3.720
H: -1.316 -9.004 -4.523
H: -1.014 -7.453 -4.939
H: 0.094 -6.878 -2.617
H: 0.996 -7.882 -3.476
H: 2.054 -9.132 -1.740
H: 1.066 -10.676 0.543
H: -2.132 -8.922 -1.666
H: -2.682 -10.584 0.238
H: -1.684 -10.221 1.641
H: -1.691 -11.830 0.696
C: -0.353 -0.631 6.437
C: 1.172 -0.540 6.072
N: 2.030 -0.538 7.293
C: 3.306 -0.957 7.258
C: 3.894 -0.535 8.437
N: 2.983 0.220 9.215
C: 1.842 0.234 8.454
C: 3.230 0.925 10.493
H: -0.769 -1.238 7.242
H: -1.023 -1.048 5.685
H: -0.718 0.350 6.741
H: 1.452 0.392 5.580
H: 1.536 -1.411 5.528
H: 3.565 -1.637 6.460
H: 4.907 -0.520 8.809
H: 0.939 0.763 8.718
H: 3.104 0.293 11.372
H: 2.498 1.733 10.508
H: 4.261 1.246 10.342
C: -2.557 5.774 2.138
C: -2.587 5.988 3.647
C: -2.441 7.501 3.923
N: -3.325 7.927 5.144
C: -4.809 7.749 4.821
C: -3.017 9.451 5.653
C: -3.543 9.504 7.053
C: -3.557 8.069 7.549
C: -3.001 7.140 6.393
H: -2.712 4.744 1.816
H: -1.762 6.206 1.530
H: -3.522 6.164 1.814
H: -1.776 5.394 4.067
H: -3.495 5.552 4.064
H: -2.725 8.194 3.131
H: -1.459 7.849 4.246
H: -5.045 8.483 4.051
H: -5.461 7.968 5.667
H: -5.113 6.789 4.403
H: -3.541 10.235 5.105
H: -1.949 9.666 5.668
H: -4.594 9.711 6.856
H: -3.261 10.369 7.654
H: -4.575 7.742 7.764
H: -2.944 7.934 8.440
H: -3.461 6.163 6.248
H: -1.917 7.056 6.479
C: 4.545 3.708 0.274
C: 5.043 5.129 -0.134
C: 6.597 5.017 0.116
N: 7.265 6.346 -0.115
C: 6.690 7.401 0.942
C: 7.216 6.815 -1.595
C: 8.372 7.719 -1.778
C: 9.412 7.520 -0.659
C: 8.799 6.279 0.146
H: 3.456 3.679 0.307
H: 4.942 3.515 1.270
H: 4.825 2.901 -0.403
H: 4.451 5.885 0.382
H: 4.851 5.290 -1.195
H: 6.984 4.352 -0.656
H: 6.909 4.659 1.097
H: 5.605 7.505 0.897
H: 7.174 8.348 0.703
H: 6.942 6.948 1.901
H: 6.274 7.321 -1.805
H: 7.396 5.979 -2.271
H: 8.109 8.775 -1.847
H: 8.843 7.604 -2.754
H: 9.711 8.359 -0.031
H: 10.316 7.239 -1.199
H: 8.976 6.389 1.216
H: 9.078 5.278 -0.182
C: 9.684 -4.017 3.679
C: 9.144 -4.178 2.235
C: 8.678 -2.825 1.558
N: 7.953 -2.879 0.193
C: 6.615 -3.630 0.455
C: 8.871 -3.349 -0.989
C: 9.722 -2.131 -1.403
C: 8.957 -0.889 -1.069
C: 7.676 -1.369 -0.354
H: 10.523 -3.323 3.740
H: 9.968 -4.987 4.088
H: 8.900 -3.622 4.324
H: 8.187 -4.700 2.240
H: 9.737 -4.832 1.596
H: 9.538 -2.175 1.399
H: 8.008 -2.262 2.208
H: 6.812 -4.625 0.854
H: 6.002 -3.818 -0.427
H: 6.003 -2.994 1.094
H: 8.127 -3.473 -1.775
H: 9.245 -4.325 -0.679
H: 10.025 -2.218 -2.447
H: 10.563 -2.076 -0.711
H: 8.697 -0.257 -1.918
H: 9.526 -0.357 -0.306
H: 6.761 -1.380 -0.945
H: 7.368 -0.786 0.514
C: -6.439 0.188 -6.613
C: -5.271 -0.712 -6.951
C: -5.161 -1.020 -8.457
N: -4.189 -2.229 -8.845
C: -4.650 -3.629 -8.345
C: -2.777 -1.797 -8.443
C: -1.928 -2.324 -9.675
C: -2.820 -2.817 -10.845
C: -4.180 -2.218 -10.363
H: -6.402 0.524 -5.577
H: -7.392 -0.325 -6.741
H: -6.553 1.101 -7.196
H: -5.382 -1.689 -6.481
H: -4.279 -0.367 -6.662
H: -4.890 -0.141 -9.041
H: -6.146 -1.386 -8.748
H: -4.180 -4.406 -8.948
H: -5.717 -3.849 -8.346
H: -4.283 -3.832 -7.339
H: -2.506 -2.186 -7.461
H: -2.764 -0.708 -8.406
H: -1.266 -3.133 -9.366
H: -1.267 -1.492 -9.920
H: -2.935 -3.891 -10.989
H: -2.524 -2.355 -11.787
H: -5.076 -2.743 -10.693
H: -4.202 -1.196 -10.742
C: -13.238 0.776 -1.745
C: -11.843 0.219 -1.310
C: -11.664 0.235 0.287
N: -10.242 -0.210 0.710
C: -9.708 -1.301 -0.165
C: -10.047 -0.627 2.166
C: -8.576 -0.402 2.512
C: -8.218 0.743 1.583
C: -9.374 1.043 0.621
H: -13.262 1.861 -1.638
~~~

Worked solution:
1